Cultivate Virtuous Traits
October 2010

“Cultivate Virtuous Traits,” New Era, Oct. 2010, 40–42

Cultivate Virtuous Traits

From an October 2009 general conference address.

Bishop H. David Burton

These crystal structures were left in the text by mistake:
-- begin --
No. 1
The following is a r²SCAN calculation of a relaxed structure of YAlNi, from Materials Project.

The value obtained for the calculated volume is 54 Å³/f.u. The total energy is -13.601 eV per atom. Its crystal system is hexagonal. As for the formation energy: -171.4 kJ/mol of formula units.

It has space group P-62m (No. 189), with a = 6.9380 Å, b = 6.9380 Å, c = 3.8879 Å, α = 90.00°, β = 90.00° and γ = 120.00°. The distinct sites, in fractional coordinates, are Y at (0.0000, 0.5830, 0.0000), Al at (0.0000, 0.2325, 0.5000), Ni at (0.0000, 0.0000, 0.0000) and Ni at (0.3333, 0.6667, 0.5000).



No. 2
The following is a r²SCAN calculation of a relaxed structure of YAlNi, from Materials Project.

The value obtained for the calculated volume is 52 Å³/f.u. The total energy is -13.526 eV per atom. Its crystal system is orthorhombic. As for the formation energy: -149.5 kJ/mol of formula units.

It has space group Amm2 (No. 38), with a = 8.4421 Å, b = 5.3748 Å, c = 9.2100 Å, α = 90.00°, β = 90.00° and γ = 90.00°. The distinct sites, in fractional coordinates, are Y at (0.1756, 0.0000, 0.0000), Y at (0.2928, 0.0000, 0.3364), Al at (0.2379, 0.0000, 0.6738), Al at (0.5000, 0.2467, 0.0832), Ni at (0.0000, 0.0000, 0.5064), Ni at (0.0000, 0.2486, 0.2531) and Ni at (0.5000, 0.0000, 0.8361).



What did the second record say?
The following is a r²SCAN calculation of a relaxed structure of YAlNi, from Materials Project.

The value obtained for the calculated volume is 52 Å³/f.u. The total energy is -13.526 eV per atom. Its crystal system is orthorhombic. As for the formation energy: -149.5 kJ/mol of formula units.

It has space group Amm2 (No. 38), with a = 8.4421 Å, b = 5.3748 Å, c = 9.2100 Å, α = 90.00°, β = 90.00° and γ = 90.00°. The distinct sites, in fractional coordinates, are Y at (0.1756, 0.0000, 0.0000), Y at (0.2928, 0.0000, 0.3364), Al at (0.2379, 0.0000, 0.6738), Al at (0.5000, 0.2467, 0.0832), Ni at (0.0000, 0.0000, 0.5064), Ni at (0.0000, 0.2486, 0.2531) and Ni at (0.5000, 0.0000, 0.8361).



> What is the formula in the first record?

YAlNi



> What is the formation energy in the second record?

-149.5 kJ/mol of formula units
-- stop --

Virtuous traits form the foundation of a Christian life and are the outward manifestation of the inner man.

As I neared my 12th birthday, there were several requirements to be completed before I could graduate from Primary. One was to recite the thirteen Articles of Faith in the prescribed order. The first twelve articles were relatively easy, but the thirteenth was much more difficult. It was remembering the order of the virtues that presented the challenge. Thanks to a Primary teacher who was patient and persistent, I finally completed the memorization. …

“We believe in being honest, true, chaste, benevolent, virtuous, and in doing good to all men; indeed, we may say that we follow the admonition of Paul—We believe all things, we hope all things, we have endured many things, and hope to be able to endure all things. If there is anything virtuous, lovely, or of good report or praiseworthy, we seek after these things” (Articles of Faith 1:13).

The Ity Virtues

I wish to speak about personal traits we call virtues. Virtuous traits form the foundation of a Christian life and are the outward manifestation of the inner man. The spelling in English of many individual virtues concludes with the letters ity: integrity, humility, charity, spirituality, accountability, civility, fidelity, and the list goes on and on. Relying on literary license, I refer to the virtues ending in ity as the “ity” virtues. “Ity” is a suffix that means quality, state, or degree of being.

We need only look around us to see what is taking place in our communities to realize that personal traits of virtue are in a steep decline. Reflect on the behavior of drivers on crowded highways; road rage happens all too often. Civility is all but absent in our political discourse. As countries around the world face financial and economic challenges, fidelity and honesty seem to have been replaced with greed and graft. A visit to a high school will often subject you to crude language and immodest dress. Some athletes display poor sportsmanship and seldom show humility unless publicly exposed for legal or moral infidelities. A large segment of our population feel little personal responsibility for their own temporal well-being. Some in financial distress blame bankers and lenders for loaning sums to satisfy insatiable wants rather than affordable needs. On occasion our generosity in support of good causes wanes as our appetite to acquire more than we need prevails.

Be Firmly Fixed

We need not be a part of the virtue malaise that is penetrating and infecting society. If we follow the world in abandoning Christian-centered virtues, the consequences may be disastrous. Individual faith and fidelity, which have eternal consequences, will diminish. Family solidarity and spirituality will be adversely impacted. Religious influence in society will be lessened, and the rule of law will be challenged and perhaps even set aside. The seedbed for all that plagues the natural man will have been planted, to the sheer delight of Satan.

We need to stand tall and be firmly fixed in perpetuating Christlike virtues, even the “ity” virtues, in our everyday lives. Teaching virtuous traits begins in the home with parents who care and set the example. A good parental example encourages emulation; a poor example gives license to the children to disregard the parents’ teachings and even expand the poor example. A hypocritical example destroys credibility. …

Our 15-year-old grandson, Ben, is a big-time ski enthusiast, having competed in several meets and done very well. Prior to one such competition in Idaho, his parents reminded him that his grades in school would determine whether or not he would be able to compete. A condominium in Sun Valley, Idaho, was reserved, his grandparents were planning to attend, and Ben was feverishly trying to achieve the lofty academic goals both he and his parents expected. However, at the end of the day, he fell just short of his goal. Ben missed the ski meet and lost points toward qualifying for the Junior Olympics, but Ben gained a valuable appreciation for responsibility and accountability. By remaining steadfast, parents so very often suffer and agonize more than the children they endeavor to teach.

President James E. Faust suggested that integrity is the mother of many virtues. He noted that integrity can be defined “as a firm adherence to a code of moral values.” He also suggested that “integrity is the light that shines from a disciplined conscience. It is the strength of duty within us” (“Integrity, the Mother of Many Virtues,” in Speaking Out on Moral Issues [1998], 61, 62). It is difficult for a person to display virtuous traits if he or she lacks integrity. Without integrity, honesty is often forgotten. If integrity is absent, civility is impaired. If integrity is not important, spirituality is difficult to maintain. In Old Testament times, Moses counseled the children of Israel that “if a man vow a vow unto the Lord, or swear an oath to bind his soul with a bond; he shall not break his word, he shall do according to all that proceedeth out of his mouth” (Numbers 30:2).

President Thomas S. Monson reminded us a few years ago that “most people will not commit desperate acts if they have been taught that dignity, honesty and integrity are more important than revenge or rage; if they understand that respect and kindness ultimately give one a better chance at success” (“Family Values in a Violent Society,” Deseret News, Jan. 16, 1994, A12, as quoted in “Finding Peace,” Liahona and Ensign, Mar. 2004, 4).

You may have heard about the Lost Battalion of World War I, the ten lost tribes of Israel, or perhaps the “lost boys” in J. M. Barrie’s play Peter Pan. You may also be acquainted with the album by Michael McLean entitled The Forgotten Carols. Virtuous traits, especially the “ity” virtues, must never be forgotten or set aside. If forgotten or set aside, they will inevitably become the “lost virtues.” If virtues are lost, families will be measurably weakened, individual faith in the Lord Jesus Christ will soften, and important eternal relationships may be jeopardized.

Traits of virtue broadly practiced can loosen Satan’s firm grip on society and derail his insidious plan to capture the hearts, minds, and spirits of mortal men.

Now is the time for us to join in rescuing and preserving that which is “virtuous, lovely, or of good report or praiseworthy.” As we allow virtue to garnish our thoughts unceasingly and we cultivate virtuous traits in our personal lives, our communities and institutions will be improved, our children and families will be strengthened, and faith and integrity will bless individual lives.

I testify and declare that our Heavenly Father expects His children to exercise integrity, civility, fidelity, charity, generosity, morality, and all the “ity” virtues. May we have the humility to take the opportunity to act upon our responsibility to demonstrate our ability to do so.
